Archive for the ‘Uncategorized’ Category

Literacy Teachers’ Academy – Q&A Webinar Video

Thursday, 10 August 2023 at 11:01 am

The Literacy Teachers’ Academy is up and running and has welcomed its first members. Last Thursday’s first Q&A Webinar is now available to view on video (see below).

Remember all future Q&A webinar videos will be available for members in the LTA webinar archive.

We’d like to thank our Literacy Solutions subscribers for your patience during our LTA promotion and launch. We’ll continue sharing samples of the …

Literacy Teachers’ Academy – Now Open for Membership

Monday, 24 July 2023 at 10:00 am

The Literacy Teachers’ Academy officially opened last Thursday.  Launch discounts are still available, but be quick as the 50% discount offer ends at midnight tonight (24 July 2023).

50% discount on membership (ENDS at midnight tonight)

33% discount (Available from 25 July to 4 August)

Memberships are grandfathered, so joining on one of these discounts ensures you permanently enjoy the price saving whilst you maintain an ongoing membership.

Webinar video

The …

Literacy Teachers’ Academy – Launch Discounts and Short Tour

Wednesday, 12 July 2023 at 11:10 am

Just over two weeks until the Literacy Teachers’ Academy opens its doors.  Take a sneak peak inside to see what an LTA membership offers.

LTA Short Tour

The video below provides a short tour through the Literacy Teachers Acacemy.  For a more in depth look, 14 day free trials will be available when launched on 20 July.

Launch Discounts

Jump straight into your membership before 25 July to enjoy a 50% discount on …

Literacy Teachers’ Academy – Sneak Peak Inside

Monday, 10 July 2023 at 9:18 am

Just over two weeks until the Literacy Teachers’ Academy opens its doors.  Take a sneak peak inside to get a glimpse of what an LTA membership offers.

Inside LTA

Here the text breaks off for molecular data >
/*
This record from OMol25 describes a 11-piece molecular cluster, C36H99N13O16 overall at a distorted geometry. The level of theory is ωB97M-V/def2-TZVPD.

## Properties
energy	-91063.189	eV
highest occupied orbital energy	-7.870	eV
energy relative to the best compared isomer or geometry (same formula, charge and spin)	231.8	kJ/mol
SMILES	COCCNCCOC.COCCNCCOC.COCCNCCOC.COCCNCCOC.COCCNCCOC.NC(N)=O.NC(N)=O.NC(N)=O.NC(N)=O.CO.CO
Kohn-Sham gap	8.10	eV

```
164
Properties=species:S:1:pos:R:3:forces:R:3
C 1.93272 3.32324 7.99372 -0.2 -0.4 -0.4
O 1.18081 2.90901 6.83919 0.3 0.2 1.4
C 1.97106 2.64665 5.69690 -2.5 0.0 -1.2
C 0.87714 2.44705 4.50051 2.1 -0.6 1.5
N 0.00591 1.29009 4.72013 -0.6 1.4 -0.4
C -0.96978 1.23048 3.60083 -1.1 -0.5 0.9
C -2.28635 2.03347 3.79120 -0.3 -0.6 -0.5
O -2.87227 1.84392 5.06083 0.2 0.6 1.3
C -4.13985 2.51391 5.21579 1.2 -0.4 -0.2
H 1.29440 3.25684 8.87476 -0.2 0.3 -0.3
H 2.36380 4.31756 7.87714 -0.3 0.3 -0.1
H 2.79086 2.69711 8.23796 0.1 -0.6 -0.4
H 2.57285 1.75678 5.88146 0.3 0.0 -0.3
H 2.51882 3.56632 5.49129 0.6 -0.2 -0.3
H 1.39675 2.21236 3.57153 0.2 0.7 -0.1
H 0.30822 3.37667 4.48518 0.1 0.2 -0.4
H -0.59558 1.66040 5.44206 -0.1 -0.7 1.0
H -1.34784 0.20835 3.58023 0.4 -0.2 -0.3
H -0.54484 1.48936 2.63104 0.1 -0.1 0.1
H -2.99867 1.54967 3.12289 0.0 0.3 -0.8
H -2.21500 3.09017 3.53350 0.2 0.3 0.1
H -4.41580 2.55297 6.26956 0.0 -0.7 0.0
H -4.83804 1.95394 4.59365 -0.5 0.4 0.1
H -4.06163 3.56868 4.95228 0.0 0.1 -0.6
C -3.30529 5.65382 -2.69409 -0.1 -0.2 0.0
O -1.97862 5.11265 -2.51113 -1.0 0.6 -0.2
C -1.14611 5.94496 -1.72893 1.6 -0.5 0.6
C 0.33355 5.43242 -1.78393 -0.8 -0.1 0.2
N 0.46858 4.11644 -1.11472 -0.1 0.7 -0.4
C 1.83400 3.52829 -1.04612 -0.8 0.1 -1.0
C 2.43868 3.41642 -2.48558 0.2 -0.3 1.8
O 3.67480 2.71145 -2.38751 0.1 0.9 -0.4
C 4.39374 2.54734 -3.60956 -0.6 -0.9 0.1
H -3.92177 5.03305 -3.34425 0.5 -0.5 -0.1
H -3.28266 6.62231 -3.19370 0.2 0.3 0.3
H -3.88107 5.68625 -1.76914 0.3 0.3 0.3
H -1.43079 5.91955 -0.67707 -0.4 -0.1 0.1
H -1.15048 6.98814 -2.04490 -0.2 0.1 -0.3
H 0.97644 6.16914 -1.30223 0.0 0.1 0.0
H 0.60390 5.35013 -2.83666 0.1 0.2 -0.2
H -0.07039 3.54393 -1.74864 -0.3 -0.9 0.2
H 1.66967 2.53845 -0.62032 0.3 -0.1 -0.1
H 2.42492 4.08707 -0.32040 0.3 0.1 -0.3
H 2.54513 4.42884 -2.87517 0.4 0.0 -0.3
H 1.70370 2.87006 -3.07668 -0.1 -0.1 -0.3
H 5.45685 2.43499 -3.39679 -0.1 0.2 0.1
H 4.23574 3.28945 -4.39213 -0.1 0.5 0.4
H 4.04935 1.60411 -4.03361 0.1 -0.2 -0.3
C 3.58153 -2.17164 4.66796 0.2 -0.3 1.3
O 3.74587 -1.29071 3.62535 0.2 0.9 -1.9
C 2.61685 -0.94419 2.86067 -1.9 0.4 -0.9
C 2.89687 -0.10634 1.57710 -0.4 -0.1 2.6
N 3.60136 -0.84215 0.59219 0.5 0.1 -0.9
C 3.89457 0.09757 -0.49300 1.1 -1.6 -0.2
C 4.76713 -0.60504 -1.57601 0.7 1.6 0.8
O 6.05361 -1.07801 -1.11549 -1.6 -1.3 0.1
C 6.82461 -0.16937 -0.40356 0.8 -0.5 0.1
H 4.59874 -2.34995 5.01667 -0.1 -0.4 0.1
H 3.07858 -3.11491 4.45492 0.1 -0.1 -0.6
H 3.03460 -1.74885 5.51071 -0.2 0.4 0.1
H 1.83606 -0.44937 3.43826 0.3 0.8 0.6
*/

The images below are a quick glimpse inside the Literacy Teachers’ Academy. For a short tour of the Academy, register for one of the free webinars on 20 July.


Two FREE Webinars – Register Now!

Coming up in term 3, …

Literacy Teachers’ Academy – Two Free Webinars & Q&As

Monday, 3 July 2023 at 9:57 am

Two Free Webinars

Coming up in term 3, Literacy Solutions will deliver two free webinars. Each will also include a short Q&A session answering your questions about the new Literacy Teachers’ Academy.Webinar 1 Integrated literacy instruction (25-30 minutes)20 July 2023  10:00am  or20 July 2023  3:30pm

Integrated literacy instruction: Teaching literacy across the curriculum

In this live conversation, Angela Ehmer discusses the importance of explicit literacy instruction across the curriculum and provides an overview …

Literacy Teachers’ Academy – Learn, Share, Grow

Monday, 19 June 2023 at 9:56 am

Learn, Share, Grow

This is the mantra we’ve adopted for the new Literacy Teachers’ Academy (LTA) and embodies the philosophy the Academy will nourish.  Our aim is to support all members with a vast and continually growing collection of resources and professional learning sessions to support the evolving needs of teachers and to foster a friendly and supportive environment where teachers can share their expertise with others and grow …

Signs of illiteracy in the strangest places

Saturday, 27 June 2009 at 7:40 pm

I had a pretty stressful experience on the week-end that kept reminded me of two important things. Here’s what happened …

It was Saturday morning. I had a very important appointment in the city. I parked the car in a multilevel basement car park and walked to the lift. On the way I passed a stairwell to street level, a quicker exit option, but noticed it …